To do:
Now transcribe the calculation results further below unchanged.

Contents:
'''
The following is a SCAN calculation of a crystal of Li4Ti3NbO8 relaxed with PBEsol, from Alexandria.

abc: 6.022 6.022 6.022
angles: 57.30 57.30 57.30
Fractional coordinates of all 16 atoms:
Li 0.000 0.000 0.000
Li 0.000 0.500 0.500
Li 0.500 0.000 0.500
Li 0.500 0.500 0.000
Ti 0.000 0.000 0.500
Ti 0.000 0.500 0.000
Ti 0.500 0.000 0.000
Nb 0.500 0.500 0.500
O 0.241 0.754 0.754
O 0.244 0.244 0.244
O 0.246 0.246 0.759
O 0.246 0.759 0.246
O 0.754 0.241 0.754
O 0.754 0.754 0.241
O 0.756 0.756 0.756
O 0.759 0.246 0.246
'''

Here it is:
The following is a SCAN calculation of a crystal of Li4Ti3NbO8 relaxed with PBEsol, from Alexandria.

abc: 6.022 6.022 6.022
angles: 57.30 57.30 57.30
Fractional coordinates of all 16 atoms:
Li 0.000 0.000 0.000
Li 0.000 0.500 0.500
Li 0.500 0.000 0.500
Li 0.500 0.500 0.000
Ti 0.000 0.000 0.500
Ti 0.000 0.500 0.000
Ti 0.500 0.000 0.000
Nb 0.500 0.500 0.500
O 0.241 0.754 0.754
O 0.244 0.244 0.244
O 0.246 0.246 0.759
O 0.246 0.759 0.246
O 0.754 0.241 0.754
O 0.754 0.754 0.241
O 0.756 0.756 0.756
O 0.759 0.246 0.246